Thursday, March 17, 2011

I'll Take "Ways to Die" for $500, Alex...

Driver Injured In Avon Crash Involving MBTA Commuter Rail Train
AVON (CBS) – A 75-year-old driver was injured Thursday in a crash involving a Commuter Rail train on the Middleboro/Lakeville line.

The driver’s car was struck at the railroad crossing on East High Street in Avon (Map It).

There's video at the link. Two things are certain: 1. There are lights and a gate at the intersection; and 2. In a car/train collision, the car loses. Big time. I'll be damned if I can figure out what happened - it looks like the car might have tried to beat the train and bounced off the front, or perhaps didn't stop in time and got dragged... Physics, folks, will not be denied - a thousand or so tons of train versus a one, one and a half ton car is going to end badly for the person in the car...

Obey the laws of thermodynamics Newtonian motion, people!

That is all.


North said...

"thermodynamics" ??

Newton's laws of motion, perhaps?

Brad_in_IL said...

I'm w/ North . . . . Newtonian MECHANICS -- the same laws of nature which govern things like planetary motion.

- Brad

Jay G said...

There, better?

Damn pedants... ;)

North said...

Yes, it IS better.

Or did you expect us to have the opposite reaction?


Irish said...

Just maybe it was a circumstance where the train was invisible?

Kinda like this.... ( luckily the train was going slow)

Brad_in_IL said...

• The entry is interrupted by data records:
-- begin --
(1)
{"formula": "C13H29ClN2P", "method": "ωB97M-V with the def2-TZVPD basis set", "symbols": ["C", "C", "N", "C", "P", "C", "Cl", "H", "H", "H", "H", "H", "H", "H", "H", "H", "C", "C", "C", "C", "N", "C", "C", "C", "C", "C", "H", "H", "H", "H", "H", "H", "H", "H", "H", "H", "H", "H", "H", "H", "H", "H", "H", "H", "H", "H"], "positions_angstrom": [[-1.803, 5.426, 0.586], [-1.111, 4.287, -0.386], [-1.401, 2.954, -0.217], [-0.038, 4.848, -1.518], [1.670, 4.968, -0.596], [1.726, 3.540, 0.680], [3.102, 4.646, -2.180], [-1.119, 5.484, 1.555], [-1.702, 6.455, 0.034], [-2.914, 5.138, 0.809], [-2.113, 2.896, 0.572], [0.117, 4.033, -2.345], [-0.366, 5.864, -1.997], [1.656, 2.455, 0.190], [0.839, 3.567, 1.473], [2.716, 3.661, 1.336], [0.893, -4.910, -1.305], [1.237, -4.519, 0.124], [0.048, -4.102, 1.002], [-0.887, -3.006, 0.482], [-0.459, -1.542, 0.749], [0.926, -1.148, 0.248], [0.743, -1.010, -1.245], [-0.613, -0.335, -1.382], [-1.375, -0.613, -0.086], [-0.594, -1.208, 2.230], [0.249, -4.184, -1.804], [1.812, -4.982, -1.897], [0.395, -5.884, -1.335], [2.003, -3.744, 0.103], [1.721, -5.382, 0.601], [0.417, -3.857, 2.003], [-0.567, -5.003, 1.132], [-1.860, -3.111, 0.980], [-1.080, -3.102, -0.590], [1.175, -0.174, 0.687], [1.670, -1.866, 0.578], [0.730, -1.985, -1.734], [1.544, -0.426, -1.709], [-1.153, -0.707, -2.257], [-0.490, 0.746, -1.512], [-2.343, -1.103, -0.242], [-1.527, 0.316, 0.475], [0.101, -1.832, 2.796], [-1.628, -1.395, 2.535], [-0.346, -0.153, 2.378]], "mulliken_charge": [-0.984, 0.171, -0.394, -0.608, 0.229, -0.570, -0.257, 0.237, 0.311, 0.384, 0.211, 0.326, 0.368, 0.012, 0.236, 0.360, -1.303, -0.206, -0.724, -0.754, 0.288, -0.519, -0.455, -0.402, -0.457, -1.067, 0.297, 0.340, 0.370, 0.163, 0.446, 0.159, 0.445, 0.336, 0.588, 0.340, 0.289, 0.059, 0.551, 0.391, 0.030, 0.321, 0.264, 0.368, 0.397, 0.413], "lumo_energy_ev": -2.4, "charge": 1}

(2)
-- stop --
• The data records stop here:


Speaking of Newton's laws, the Higgins Museum in Worcester is having a TREBUCHET contest at the end of April. Could you imagine a Northeastd Bloggers Treb? What fun that would be. Rules are on the museum website. Contest is called "Seige The Day" - heh.

And I'm still w/ North on this . . . such an error we could not let slip by. As for the "damned pedant" characterization - the shoe fits.

And while I'm co-opting your post, my required {spit} safety course is tomorrow. App is complete and ready to be filed.

- Brad

Heath J said...

Bleh. More stupidity from the Too Fucking Old to be on the road.

Anonymous said...

I'm just glad the grandkids weren't in the car. -8notch

Robert said...

See the end of "Dirty Mary, Crazy Larry" for example of train / car interaction.

/*
Molecular formula: C7H17N2O4P
Method: DFT, ωB97M-V/def2-TZVPD

```
31
Properties=species:S:1:pos:R:3:forces:R:3
C -0.6896 0.0918 1.0512 0.7 2.7 0.2
C 0.5712 -0.2213 -2.3719 0.3 -2.5 1.5
C -0.7081 -1.2104 0.9468 -1.7 -1.5 -0.2
C -0.2101 0.9649 -2.5632 -2.1 3.3 -1.7
C -1.7576 -3.2651 0.4816 -0.2 2.7 -2.5
C 0.3972 3.4065 0.4990 -0.2 0.3 -0.7
C 1.8419 0.6283 3.3899 0.8 -0.9 -3.0
N 0.0186 -1.3405 -1.9218 -1.5 0.5 -0.4
N 0.3949 -2.5761 -1.7782 -0.4 -0.7 0.7
O 1.9797 -0.0436 0.4486 0.1 -0.4 0.1
O -1.9117 -1.8696 0.9039 1.2 0.3 -0.1
O 0.8946 2.1497 0.0561 -0.2 1.0 -0.5
O 1.2663 1.5351 2.3943 -0.1 -1.3 -0.4
P 0.9558 0.8826 0.9382 -0.5 -1.4 1.5
H -1.6448 0.6476 1.1564 0.8 -0.3 -0.1
H 1.6448 -0.2371 -2.3475 0.3 0.0 -0.5
H 0.1851 -1.7970 0.8122 0.2 -0.2 0.0
H 0.4080 1.9773 -2.4720 -1.2 -2.4 -0.8
H -0.9661 1.1214 -1.7923 0.0 -0.3 0.4
H -0.9403 0.8842 -3.5429 2.2 0.6 1.9
H -2.7089 -3.4836 -0.0075 0.2 -0.2 -0.1
H -1.7337 -3.7739 1.3732 0.8 -1.9 1.7
H -0.9030 -3.2233 -0.2768 -0.9 -1.2 1.2
H 0.9993 4.1706 -0.0080 -0.2 -0.1 0.5
H 0.3447 3.4825 1.5672 0.6 0.2 0.5
H -0.6238 3.4964 0.1820 -0.6 0.1 -0.5
H 1.1508 0.0229 3.8648 -2.2 -0.6 1.1
H 2.2764 1.3150 4.0285 1.4 0.7 1.5
H 2.4846 -0.1970 2.9305 -0.1 1.8 0.3
H -0.9949 -1.3992 -1.6194 1.2 1.3 -0.9
H 1.3615 -2.7047 -1.9583 1.3 0.3 -0.4
```
Forces are in eV/Å.

Results
**E_LUMO (alpha / beta)**: 0.8015 / 0.8015 eV
**E**: -27990.8565 eV
**M**: 224.197 g mol⁻¹
**HOMO energy (alpha / beta)**: -7.3 / -7.3 eV
**Strongest force on any atom**: 4.226 eV/Å
**Relative energy (zero: lowest compared OMol25 entry of this formula, charge and spin)**: 4.065 eV

* * * * *

Record 1
ORCA calculation (ωB97M-V/def2-TZVPD) on C29H42As2CoN3O6S2 as an isolated structure in a non-equilibrium geometry.

Computed properties:
expectation value of S²: 6.17
ΔE to the lowest compared entry with this formula, charge and spin: 597.59 kJ/mol
total energy: -8396.3074 hartree
highest occupied orbital energy (alpha / beta): -7.7 / -7.7 eV

```
! wB97M-V def2-TZVPD RIJCOSX def2/J DEFGRID3
* xyz 0 5
Co -1.09 1.83 -2.00
O -2.01 0.67 -0.88
As -3.77 1.18 -1.87
O -4.34 -0.36 -2.26
O -2.59 1.88 -3.07
C -1.54 3.82 -1.31
C -2.70 4.43 -1.32
C -3.03 5.54 -0.58
C -2.03 6.30 0.02
C -0.72 5.82 -0.13
C -0.49 4.66 -0.83
S 0.96 3.77 -0.50
O 1.93 4.11 -1.52
O 1.43 4.01 0.89
O 0.41 2.34 -0.65
H -2.19 -0.27 -0.95
H -3.51 3.90 -1.85
H -4.07 5.71 -0.38
H -2.19 7.22 0.56
H 0.15 6.18 0.45
N -0.23 2.90 -3.46
C -0.39 2.39 -4.76
C -0.68 3.39 -5.71
C -0.95 2.99 -7.03
C -0.65 1.74 -7.45
C -0.32 0.76 -6.51
C -0.19 1.04 -5.15
C -0.02 -0.07 -4.15
C 0.17 -1.40 -4.46
C 0.44 -2.40 -3.45
C 0.52 -2.00 -2.12
C 0.19 -0.70 -1.76
C -0.19 0.21 -2.77
H -0.65 3.85 -3.44
H 0.71 3.13 -3.28
H -0.74 4.39 -5.39
H -1.39 3.71 -7.69
H -0.57 1.61 -8.55
H -0.33 -0.29 -6.83
H 0.19 -1.73 -5.49
H 0.68 -3.44 -3.79
H 0.66 -2.76 -1.32
H 0.13 -0.42 -0.71
C -0.32 -5.68 3.46
N 0.99 -6.23 3.05
C 1.19 -7.65 3.33
C 1.78 -5.52 2.08
S 1.27 -3.96 1.37
N 3.03 -6.04 1.86
C 3.99 -6.17 2.96
C 3.63 -6.20 0.54
*/

ASM826 said...

<<<
# C31H89N13O10

A 10-piece molecular cluster, C31H89N13O10 overall in a non-equilibrium geometry (ωB97M-V with the def2-TZVPD basis set, OMol25).

Values from the calculation:
Relative energy (zero: lowest compared OMol25 entry of this formula, charge and spin), kJ/mol: 75.55
HOMO-LUMO gap (spin up / spin down), eV: 1.888 / 8.892
Total charge: -1
Multiplicity: 2

Positions of all 143 atoms, in Å:
C  4.08850  -0.25535  2.63921
O  3.28244  -0.56638  1.83100
N  4.87795  0.73416  2.41423
N  4.20840  -0.77285  3.84666
H  4.95332  0.98110  1.43778
H  5.75484  0.86326  2.89848
H  5.10971  -0.85636  4.29474
H  3.67007  -1.61552  3.98884
C  2.42052  -3.78198  2.55038
O  2.24285  -3.06018  3.53670
N  3.01819  -3.40612  1.42567
N  2.02892  -5.01235  2.54208
H  3.41266  -3.86092  0.61472
H  3.17878  -2.40910  1.44198
H  1.46351  -5.37001  3.29870
H  2.17119  -5.55748  1.70381
C  0.06605  -0.06200  0.29746
O  -0.97248  0.41867  -0.13484
N  1.26306  0.33678  0.04989
N  0.09730  -1.14826  1.02177
H  2.01602  -0.17763  0.48410
H  1.41925  1.29082  -0.24254
H  -0.75732  -1.64382  1.23186
H  0.95592  -1.39464  1.49313
C  -1.42240  -3.43212  4.68534
C  -1.46147  -1.89807  4.82066
C  -2.31550  -1.33142  5.93165
O  -3.62332  -1.84168  5.92581
C  -4.29863  -1.69123  7.17593
N  -0.07508  -1.56240  5.04522
H  -0.56197  -3.85073  4.16330
H  -2.29113  -3.86568  4.18993
H  -1.51364  -3.93803  5.64650
H  -1.79949  -1.50024  3.86380
H  -2.28757  -0.24183  5.92124
H  -1.82977  -1.64456  6.85583
H  -3.65290  -2.11158  7.94692
H  -5.29772  -2.12669  7.19267
H  -4.16334  -0.62284  7.34426
H  0.41317  -1.90853  4.23164
H  0.20460  -2.15817  5.81134
C  -3.30594  -0.60677  -3.25851
C  -4.75590  -1.04323  -3.12538
C  -5.46760  -0.81784  -4.41462
O  -5.64451  0.55802  -4.78821
C  -6.73478  1.30952  -4.22831
N  -4.84302  -2.36852  -2.60260
H  -2.71971  -0.47542  -2.34902
H  -3.23263  0.42729  -3.59534
H  -2.85595  -1.28448  -3.98399
H  -5.08027  -0.33213  -2.36563
H  -6.48955  -1.19350  -4.46557
H  -4.90174  -1.28940  -5.21807
H  -7.69689  0.85881  -4.47188
H  -6.73067  2.32258  -4.63055
H  -6.69914  1.21475  -3.14303
H  -4.43507  -2.93555  -3.33209
H  -5.81466  -2.64291  -2.57578
C  -3.14658  0.51468  2.77575
C  -4.53105  -0.10562  2.66006
C  -5.22651  0.18851  1.26092
O  -5.71396  1.54347  1.05220
C  -6.00121  1.95646  -0.29389
N  -4.44497  -1.49387  3.08379
H  -2.37242  0.07106  2.14967
H  -2.73799  0.46617  3.78511
H  -3.09203  1.55021  2.43991
H  -4.99365  0.39722  3.50933
H  -6.10265  -0.42895  1.06288
H  -4.53448  -0.09321  0.46731
H  -5.00671  1.92926  -0.73924
H  -6.24416  3.01233  -0.17469
H  -6.78113  1.39981  -0.81347
H  -4.08955  -1.48262  4.02912
H  -3.71809  -1.94324  2.54545
C  -2.92645  -4.49365  -0.06662
C  -2.10434  -3.16639  -0.36252
C  -1.40165  -2.97511  -1.77768
O  -0.46990  -3.91635  -2.18931
C  0.59700  -4.03174  -1.23780
N  -2.95767  -1.99515  -0.03388
H  -2.32227  -5.39979  -0.11109
H  -3.76464  -4.56411  -0.75985
H  -3.30607  -4.33418  0.94262
>>>
-- The records of molecules stop here --

Maybe he was texting.

The comments sent me off to read about the laws of thermodynamics.

Cliff Smith said...

When I was in the navy, it was called the law of gross mass displacement, ie when large ship "carrier" and small ship "destroyer" try to occupy the space, small ship loses.

Stretch said...

How do you mount a bayonet on a trebuchet?